In the past, media had no role in our health, trans­porta­tion or infra­struc­ture but tech­nol­o­gy has dis­rupt­ed the bound­ary between media and non-media interactions.

But dad, I can’t live with­out them!”

My daugh­ter Judy and I were once again locked in the bat­tle over screen time by now famil­iar to many of today’s par­ents and sig­nif­i­cant oth­ers. We had turned a day of errands into some father-daugh­ter time with a few fun diver­sions and I was hop­ing she would sur­face from her screens long enough for us to enjoy it.

Although her plea was not as heart­felt as Nilsson’s 1971 pow­er hit, “With­out You,” Judy was quite seri­ous about not being able to live with­out her screens.

My oft-rehearsed “don’t be so dra­mat­ic” speech was at the tip of my tongue when it hit me: maybe she is right. With me behind the wheel and her behind a screen, we had effort­less­ly checked off errand after errand, leav­ing us with more time to appre­ci­ate our day together.

Pocket-sized portals to pervasive media

Judy got direc­tions via Waze, checked store hours with Google, com­pared prices for a hair dry­er she need­ed on Ama­zon, found an amaz­ing taco place for lunch through Yelp, helped me install a new key fob bat­tery with YouTube, searched LinkedIn to advise her broth­er on a resume entry, filled a pre­scrip­tion at, chose a movie and the­ater on Fan­dan­go and amused us through­out with her friends’ Insta­gram posts and my Face­book feed.

With­out our dig­i­tal media screens, we like­ly would have spent most of the day on the phone with var­i­ous cus­tomer ser­vice rep­re­sen­ta­tives, pour­ing through news­pa­per reviews, vis­it­ing retail loca­tion after loca­tion (arriv­ing at times too ear­ly or too late) and grum­bling all the while.

If we now rely so much on screens as indi­vid­u­als, can we as a soci­ety func­tion with­out them?

Our smart­phones and tablets are mobile por­tals to the dig­i­tal media realm, where tools and resources that his­tor­i­cal­ly exist­ed in sep­a­rate spheres have been brought under a sin­gle roof. Though media has long played a role in spe­cif­ic social inter­ac­tions, dig­i­tal media con­sol­i­dates almost all domains of social exchange in a man­ner pre­vi­ous­ly unthinkable.

In the dig­i­tal age, media is no longer mere­ly the realm of enter­tain­ment or infor­ma­tion; it is now per­va­sive, touch­ing every aspect of our being, from how we live to how we work, play, com­mu­ni­cate, con­nect – and even find love. We lit­er­al­ly can’t live with­out media.


But wait, what exactly is media?

Media” (sing. medi­um) is derived from the Latin word Medius, mean­ing “mid­dle.”

Even in today’s dig­i­tal­ly-dri­ven usage, this con­no­ta­tion per­sists: media are the cre­ative and phys­i­cal infra­struc­ture that con­nect con­tent pro­duc­ers and con­sumers. Media can be more gran­u­lar­ly under­stood as a process of medi­a­tion, whose stages pro­gres­sive­ly encode and then decode con­tent “pack­ages” as they move from pro­duc­er to consumer.

Imag­ine writ­ing a let­ter by hand, putting it in an enve­lope and send­ing it (crazy, right?). You take your thoughts and turn them into writ­ten words, which you then pack­age in a form that the postal ser­vice can ship. The recip­i­ent must then invert the process: open­ing the enve­lope to read the let­ter and inter­pret­ing the writ­ten words back into thought.

Though undoubt­ed­ly more com­pli­cat­ed, all media under­takes a large­ly sim­i­lar project. It con­fig­ures con­tent so that it can be effi­cient­ly trans­ferred to and then con­sumed by the recip­i­ent. Vari­a­tions of this process have facil­i­tat­ed the exchange of enter­tain­ment and infor­ma­tion for mil­len­nia, but the inter­net century’s tech­nol­o­gy-dri­ven shifts pro­found­ly expand­ed media’s role in society.

Back in the day, media was just for fun!

Since the begin­ning of his­to­ry, media act­ed almost exclu­sive­ly as a vehi­cle for infor­ma­tion and enter­tain­ment, play­ing a sin­gu­lar and dis­crete role in people’s every­day lives. The ear­li­est sto­ries enthralled their audi­ences and impart­ed social val­ues – much as they did lat­er via net­work prime­time – while town criers, and even­tu­al­ly news­pa­pers, kept peo­ple informed.

Out­side of these chan­nels, peo­ple com­mu­ni­cat­ed large­ly in per­son. Pol­i­tics were debat­ed in town cen­ters, dat­ing and mar­riage were arranged by friends and rel­a­tives and shop­ping was done at pub­lic mar­kets. In oth­er words, most trans­ac­tions have his­tor­i­cal­ly been unmedi­at­ed: there was no per­son, process or tech­nol­o­gy that stood between us and the rest of society.

Over cen­turies, inno­va­tion increased the time we all spend with media, but its role in inform­ing and enter­tain­ing main­ly remained the same, as did its sta­tus as a dis­tinct inter­ac­tive mode, along­side pol­i­tics, cul­ture, health­care, social­iza­tion, trans­porta­tion, infra­struc­ture and eco­nom­ics. Each of these was a dis­tinct domain and trans­ac­tions in one were con­duct­ed dif­fer­ent­ly than in another.

The bound­aries between domains were defined by time and space. We used writ­ing to keep records and exchange mes­sages, but these were stored in a phys­i­cal loca­tion or sent to a phys­i­cal address; like­wise, the­atri­cal per­for­mances took place in a space dif­fer­ent from the one used to exe­cute legal pro­ceed­ings or exchange goods and services.

The page is interrupted by calculated crystals =
____________
Diffraction record for Pm3PrAl3. The XRD peak list is theoretical, not measured: it uses the GGA-PBE geometry in Alexandria and a wavelength of 1.5418 Å.

Structure:
Unit cell a=9.290 b=9.290 c=9.290 alpha=90.00 beta=90.00 gamma=90.00
Space group P2_13 (No. 198)
Inequivalent atoms, fractional coordinates:
Pm 0.076 0.424 0.576
Pm 0.176 0.176 0.176
Pm 0.177 0.823 0.323
Pr 0.074 0.574 0.926
Al 0.001 0.748 0.622

Principal peaks in the range 2θ = 10–80°, in order of rising 2θ:
- 23.5 deg, d 3.792, I 69
- 27.2 deg, d 3.284, I 21
- 30.4 deg, d 2.938, I 100
- 36.2 deg, d 2.483, I 83
- 48.0 deg, d 1.896, I 37
- 50.1 deg, d 1.822, I 51
- 61.5 deg, d 1.507, I 26
- 65.1 deg, d 1.433, I 19

----------

# 1
Pr2ErHg5: simulated powder diffractogram (Cu Kα (weighted mean of Kα1 and Kα2)), based on a crystal structure in Alexandria, relaxed with PBE.
Lines closer than 0.1° are merged.

Atomic structure:
Cell: 5.220 5.220 15.297 Å, 90.00 90.00 90.00°
Space group I4/mmm (No. 139)
Unique sites:
Pr1 0.000 0.000 0.237
Er1 0.000 0.000 0.500
Hg1 0.000 0.000 0.000
Hg2 0.000 0.500 0.116

Peak list (8 most intense, 2θ = 10–80°, low angle first)
- 2.656 Å, 2θ = 33.7°, I = 1000, (1 1 4)
- 2.610 Å, 2θ = 34.4°, I = 502, (2 0 0)
- 1.912 Å, 2θ = 47.6°, I = 83, (0 0 8)
- 1.846 Å, 2θ = 49.4°, I = 183, (2 2 0)
- 1.543 Å, 2θ = 60.0°, I = 166, (2 0 8)
- 1.516 Å, 2θ = 61.1°, I = 368, (3 1 4)
- 1.328 Å, 2θ = 71.0°, I = 102, (2 2 8)
- 1.305 Å, 2θ = 72.4°, I = 59, (4 0 0)

# 2
PrEr3Hg4: simulated powder diffractogram (Cu Kα (weighted mean of Kα1 and Kα2)), based on a crystal structure in Alexandria, relaxed with PBE.
Lines closer than 0.1° are merged.

Atomic structure:
Cell: 10.477 7.608 5.237 Å, 90.00 90.00 90.00°
Space group Pmma (No. 51)
Unique sites:
Pr1 0.000 0.000 0.000
Er1 0.000 0.500 0.000
Er2 0.250 0.000 0.499
Er3 0.250 0.500 0.499
Hg1 0.000 0.264 0.500
Hg2 0.250 0.264 0.999

Peak list (8 most intense, 2θ = 10–80°, low angle first)
- 2.654 Å, 2θ = 33.8°, I = 1000, (2 2 1)
- 2.619 Å, 2θ = 34.2°, I = 491, (4 0 0)
- 1.902 Å, 2θ = 47.8°, I = 91, (0 4 0)
- 1.852 Å, 2θ = 49.2°, I = 179, (4 0 2)
- 1.539 Å, 2θ = 60.1°, I = 184, (4 4 0)
- 1.519 Å, 2θ = 61.0°, I = 371, (6 2 1)
- 1.327 Å, 2θ = 71.0°, I = 113, (4 4 2)
- 1.200 Å, 2θ = 80.0°, I = 75, (2 6 1)

# 3
Er4Hg2Pt: simulated powder diffractogram (Cu Kα (weighted mean of Kα1 and Kα2)), based on a crystal structure in Alexandria, relaxed with PBE.
Lines closer than 0.1° are merged.

Atomic structure:
Cell: 7.854 12.548 4.024 Å, 90.00 90.00 90.00°
Space group Pbam (No. 55)
Unique sites:
Er1 0.128 0.203 0.000
Er2 0.231 0.947 0.500
Hg1 0.084 0.669 0.500
Pt1 0.000 0.000 0.000

Peak list (8 most intense, 2θ = 10–80°, low angle first)
- 3.692 Å, 2θ = 24.1°, I = 367, (1 3 0)
- 3.444 Å, 2θ = 25.9°, I = 652, (1 1 1)
- 2.913 Å, 2θ = 30.7°, I = 725, (1 4 0)
- 2.743 Å, 2θ = 32.7°, I = 1000, (2 1 1)
- 2.565 Å, 2θ = 35.0°, I = 613, (2 2 1)
- 2.416 Å, 2θ = 37.2°, I = 364, (3 2 0)
- 2.055 Å, 2θ = 44.1°, I = 402, (1 5 1)
____________

Most of the time, though, we were media-free as we par­tic­i­pat­ed in our com­mu­ni­ty or the econ­o­my. Media cer­tain­ly had no role in our health, trans­porta­tion or infra­struc­ture. We turned media on and off at well-defined times and in famil­iar con­texts: read­ing the news­pa­per in the morn­ing, lis­ten­ing to radio pro­grams dur­ing our dai­ly com­mute and watch­ing tele­vi­sion at night.

Dig­i­tal tech­nol­o­gy dis­rupt­ed this clear bound­ary between media and non-media interactions—today, media is pervasive.

Pervasive media isn’t just a new tool, it’s a new way

We need look no fur­ther than the lat­est elec­tion cycle to see that media is a part of pol­i­tics; vir­tu­al doc­tor vis­its make health­care imme­di­ate­ly acces­si­ble; dat­ing would be seem­ing­ly non-exis­tent with­out a cache of apps; cars are becom­ing media plat­forms, as is our homes’ infra­struc­ture; and, of course, our work lives are per­me­at­ed with media from search to LinkedIn.

Next to the entry, the page also holds records of crystals.
~~~
# 1
# MgSc2Al
Theoretical PXRD pattern, Cu Kα X-rays. Input: a DFT-relaxed cell (GGA-PBE, the Materials Project).
No peak broadening, texture or thermal motion is included.

```
MgSc2Al
1.0
0.0000 3.4613 3.4613
3.4613 0.0000 3.4613
3.4613 3.4613 0.0000
Mg Sc Al
1 2 1
direct
0.0000 0.0000 0.0000 Mg
0.2500 0.2500 0.2500 Sc
0.7500 0.7500 0.7500 Sc
0.5000 0.5000 0.5000 Al
```

Peak list (9 most intense, 2θ = 10–90°, in order of falling intensity)
2θ 36.7, rel. 100; 2θ 66.1, rel. 31; 2θ 52.9, rel. 16; 2θ 89.6, rel. 13; 2θ 78.1, rel. 9; 2θ 25.7, rel. 9; 2θ 59.7, rel. 2; 2θ 45.4, rel. 2; 2θ 83.9, rel. 1

# 2
# BaH8PtC4N4O4
Theoretical PXRD pattern, Cu Kα X-rays. Input: a DFT-relaxed cell (GGA-PBE, the Materials Project).
No peak broadening, texture or thermal motion is included.

```
BaH8PtC4N4O4
1.0
6.1793 -6.9816 0.0000
6.1793 6.9816 0.0000
-2.0421 0.0000 6.3591
Ba H Pt C N O
2 16 2 8 8 8
direct
0.1296 0.8704 0.7500 Ba
0.8704 0.1296 0.2500 Ba
0.0064 0.2091 0.8423 H
0.0325 0.4097 0.6909 H
0.1259 0.6255 0.2784 H
0.1291 0.2145 0.0403 H
0.2092 0.0064 0.3423 H
0.2145 0.1291 0.5403 H
0.3745 0.8741 0.2216 H
0.4097 0.0325 0.1909 H
0.5903 0.9675 0.8091 H
0.6255 0.1259 0.7784 H
0.7855 0.8709 0.4597 H
0.7909 0.9936 0.6577 H
0.8709 0.7855 0.9597 H
0.8741 0.3745 0.7216 H
0.9675 0.5903 0.3091 H
0.9936 0.7909 0.1577 H
0.5000 0.5000 0.0000 Pt
0.5000 0.5000 0.5000 Pt
0.2866 0.4048 0.4130 C
0.3025 0.5644 0.9465 C
0.4048 0.2866 0.9130 C
0.4356 0.6975 0.5535 C
0.5644 0.3025 0.4465 C
0.5952 0.7134 0.0870 C
0.6975 0.4356 0.0535 C
0.7134 0.5952 0.5870 C
0.1605 0.3501 0.3629 N
0.1882 0.6066 0.9117 N
0.3501 0.1605 0.8629 N
0.3934 0.8118 0.5883 N
0.6066 0.1882 0.4117 N
0.6499 0.8395 0.1371 N
0.8118 0.3934 0.0883 N
0.8395 0.6499 0.6371 N
0.0429 0.1483 0.9421 O
0.0504 0.6727 0.3359 O
0.1483 0.0429 0.4421 O
0.3273 0.9496 0.1641 O
0.6727 0.0504 0.8359 O
0.8517 0.9571 0.5579 O
0.9496 0.3273 0.6641 O
0.9571 0.8517 0.0579 O
```

Peak list (10 most intense, 2θ = 10–90°, in order of falling intensity)
2θ 15.1, rel. 100; 2θ 20.5, rel. 64; 2θ 30.9, rel. 61; 2θ 27.5, rel. 54; 2θ 12.7, rel. 44; 2θ 33.0, rel. 31; 2θ 38.3, rel. 29; 2θ 19.7, rel. 29; 2θ 32.0, rel. 28; 2θ 29.8, rel. 27

# 3
# NaLaNbInO6
Theoretical PXRD pattern, Cu Kα X-rays. Input: a DFT-relaxed cell (GGA-PBE, the Materials Project).
No peak broadening, texture or thermal motion is included.

```
NaLaNbInO6
1.0
0.0000 4.1060 4.1060
4.1060 0.0000 4.1060
4.1060 4.1060 0.0000
Na La Nb In O
1 1 1 1 6
direct
0.0000 0.0000 0.0000 Na
0.5000 0.5000 0.5000 La
0.7500 0.7500 0.7500 Nb
0.2500 0.2500 0.2500 In
0.5078 0.5078 0.9922 O
0.5078 0.9922 0.5078 O
0.5078 0.9922 0.9922 O
0.9922 0.5078 0.5078 O
0.9922 0.5078 0.9922 O
0.9922 0.9922 0.5078 O
```

Peak list (10 most intense, 2θ = 10–90°, in order of falling intensity)
2θ 30.8, rel. 100; 2θ 54.8, rel. 39; 2θ 44.1, rel. 34; 2θ 18.7, rel. 25; 2θ 89.3, rel. 21; 2θ 64.2, rel. 21; 2θ 72.8, rel. 17; 2θ 36.3, rel. 15; 2θ 21.6, rel. 8; 2θ 81.1, rel. 7

Repeat the third record exactly.
~~~

Today it is unthink­able to leave the house with­out a mobile media device. We use them to con­duct a grow­ing share of dai­ly busi­ness. Liv­ing in an urban cen­ter, it is equal­ly unthink­able to leave home with­out a cred­it card. Just as we can use cred­it cards to pay our rent and util­i­ties, sub­scribe to stream­ing ser­vices and buy gro­ceries, we use dig­i­tal media to meet many of our dai­ly needs.

## These data records were left in the page by mistake
********
1.
Calculated X-ray diffraction stick pattern of PmFe12Ge6 for Cu Kα (λ = 1.5418 Å), from a PBE-relaxed structure.
Kinematic intensities with the Lorentz-polarization factor, no thermal factor.

Top 10 peaks for 2θ from 10° to 90°, in order of falling intensity:
- 36.68 deg, rel. 100, hkl 1 3 1
- 47.50 deg, rel. 67, hkl 0 2 4
- 36.19 deg, rel. 49, hkl 1 1 3
- 54.24 deg, rel. 41, hkl 5 0 2
- 41.27 deg, rel. 38, hkl 3 1 2
- 27.67 deg, rel. 37, hkl 2 1 1
- 33.62 deg, rel. 35, hkl 2 2 0
- 33.36 deg, rel. 33, hkl 1 2 2
- 43.66 deg, rel. 30, hkl 0 3 3
- 44.09 deg, rel. 30, hkl 3 2 1

Crystal structure
```
data_PmFe12Ge6
_space_group_name_H-M_alt 'R -3 m'
_space_group_IT_number 166
_space_group_name_Hall '-R 3 2"'
_cell_length_a 10.6629
_cell_length_b 10.6629
_cell_length_c 8.4144
_cell_angle_alpha 90.00
_cell_angle_beta 90.00
_cell_angle_gamma 120.00
loop_
_atom_site_label
_atom_site_fract_x
_atom_site_fract_y
_atom_site_fract_z
Pm1 0.0000 0.0000 0.0000
Fe1 0.0000 0.3857 0.5000
Fe2 0.0954 0.1908 0.3252
Ge1 0.0311 0.5156 0.2607
```


2.
Calculated X-ray diffraction stick pattern of PrFeGe2 for Cu Kα (λ = 1.5418 Å), from a PBE-relaxed structure.
Kinematic intensities with the Lorentz-polarization factor, no thermal factor.

Top 10 peaks for 2θ from 10° to 90°, in order of falling intensity:
- 33.08 deg, rel. 100, hkl 2 1 0
- 42.55 deg, rel. 85, hkl 0 2 0
- 36.04 deg, rel. 64, hkl 1 1 3
- 36.65 deg, rel. 42, hkl 2 0 3
- 34.96 deg, rel. 36, hkl 0 0 4
- 33.62 deg, rel. 35, hkl 0 1 3
- 47.00 deg, rel. 26, hkl 3 0 3
- 34.24 deg, rel. 25, hkl 2 1 1
- 57.38 deg, rel. 23, hkl 2 2 3
- 56.69 deg, rel. 22, hkl 4 1 0

Crystal structure
```
data_PrFeGe2
_space_group_name_H-M_alt 'P n m a'
_space_group_IT_number 62
_cell_length_a 7.0285
_cell_length_b 4.2499
_cell_length_c 10.2674
_cell_angle_alpha 90.00
_cell_angle_beta 90.00
_cell_angle_gamma 90.00
loop_
_space_group_symop_operation_xyz
'x,y,z'
'-x,-y,-z'
'-x+1/2,-y,z+1/2'
'x+1/2,y,-z+1/2'
'x+1/2,-y+1/2,-z+1/2'
'-x+1/2,y+1/2,z+1/2'
'-x,y+1/2,-z'
'x,-y+1/2,z'
loop_
_atom_site_label
_atom_site_fract_x
_atom_site_fract_y
_atom_site_fract_z
Pr1 0.1685 0.2500 0.1250
Fe1 0.0157 0.7500 0.3872
Ge1 0.1442 0.2500 0.8150
Ge2 0.1690 0.2500 0.4251
```


3.
Calculated X-ray diffraction stick pattern of Pr2FeGe4 for Cu Kα (λ = 1.5418 Å), from a PBE-relaxed structure.
Kinematic intensities with the Lorentz-polarization factor, no thermal factor.

Top 10 peaks for 2θ from 10° to 90°, in order of falling intensity:
- 33.84 deg, rel. 100, hkl 1 1 3
- 41.68 deg, rel. 22, hkl 0 2 0
- 42.43 deg, rel. 21, hkl 2 0 0
- 34.53 deg, rel. 21, hkl 0 1 5
- 39.47 deg, rel. 19, hkl 1 0 6
- 71.07 deg, rel. 17, hkl 1 3 3
- 33.13 deg, rel. 15, hkl 0 0 6
- 60.99 deg, rel. 14, hkl 2 2 0
- 58.75 deg, rel. 11, hkl 1 2 6
- 23.58 deg, rel. 11, hkl 1 0 2

Crystal structure
```
data_Pr2FeGe4
_space_group_name_H-M_alt 'A m m 2'
_space_group_IT_number 38
_cell_length_a 4.2611
_cell_length_b 4.3335
_cell_length_c 16.2257
_cell_angle_alpha 90.00
********

Many of the trans­ac­tions above are con­duct­ed not mere­ly with a cred­it card, but specif­i­cal­ly through dig­i­tal media plat­forms. Few social exchanges have escaped dig­i­ti­za­tion. Any­thing that isn’t mate­r­i­al can be reduced to ones and zeroes and any­thing that can be ordered and shipped with them. Like water, dig­i­tal is an almost uni­ver­sal conductor.

Mediating anytime, anywhere

The dig­i­tal medi­a­tion of even our most inti­mate exchanges has atom­ized our rela­tion­ship with soci­ety. No longer bound by con­ven­tions of time and space, we can con­sume enter­tain­ment, sched­ule appoint­ments or sat­is­fy our curios­i­ty wher­ev­er and when­ev­er we please.

It looks to me like Judy is always “on her phone” but, in truth, she’s orga­niz­ing her time, con­nect­ing with friends, help­ing her broth­er nail an inter­view, vet­ting lunch spots or keep­ing up on cur­rent events. It’s just hard to tell with­out the myr­i­ad accou­ter­ment we need­ed in my day.

I’m still not thrilled about how much time she (or I, for that mat­ter) spends on her media screens. It’s all too easy to get sucked in by our pock­et-sized por­tals to every­thing. But it’s hard to imag­ine our day would have been bet­ter spent scour­ing maps or pour­ing through phone books, so maybe Judy is right – we real­ly can’t live with­out them.